5 Steps To Improve Your Flow Cytometry Data Analysis

With the continued emphasis on improving the reproducibility of scientific data, it is critical to remember that there is no single step that will solve this problem. Instead, it is a mindset that needs to be adopted. From adding in additional descriptors in the data to ensuring the proper information is extracted these steps, especially when communicated, can improve the robustness of your data. Further, as more and more automated analytical tools are being developed, using
Improving the quality of your data starts with how you approach your data analysis process, your experimental design and what happens when you sit down at the instrument.
1. Add keywords at the beginning of your experimental setup.
The flow cytometry standard file (FCS) is composed of two pieces – the listmode data, a spreadsheet of the values for each cell and a header filer – which is where the keywords are stored. These keywords are defined by the FCS standard and are automatically added by the instrument to the file. When troubleshooting an experiment, this is a good place to look at how the system was set up for the acquisition.
In addition to these defined terms, you are able to add keywords to your flow cytometry data when setting up your experiment. By doing this, it is possible to add information about the sample, the stains, the treatment conditions, etc. that ultimately makes it easier to search and organize your files during analysis.
It is important when adding keywords, especially when performing a longitudinal study, that the terms are consistently entered. Depending on the downstream applications and how you might parse the keywords – CD3 is different from Cd3 and T0 is not the same as T=0. So make sure you are consistent in this process.
If you are using FCS Express, you can access this under the Data Tab. This brings up a window that also allows you to select all keywords. Additionally, you can add keywords here if needed. Another nice feature is that if you have information stored in the header file that needs to be removed for privacy reasons, there is an option to anonymize the header information. A great way to protect files with PHI or other sensitive information.

Figure 1: FCS Header as displayed in FCS Express 6.
Developing your naming convention during the experimental design phase is a good practice. This way it becomes ingrained into the workflow and template design.
2. Develop a quality control program.
Quality control is the name of the game to help improve the quality and consistency of any data generated. Instrument quality control is typically performed using some OEM recommendation that is implemented by those in charge of the instruments. It’s a good idea to ask them about this QC and if you can review it from time to time. The last thing that you want to have happen is that your big find turns out to be an instrument issue rather than biological. QC helps prevent this by ensuring the instrument is running the same way on a daily/weekly/monthly basis.
However, that is not where it should end. Each researcher should invest a bit of time to add experimental quality control to their experiments. This QC helps ensure that when you go to sit down to the machine at 20:00, after a long day of preparing your sample, that everything is still working. This can easily be achieved by using a bead and establishing target values for this bead based on the experiment. These values would be determined during the optimization phase of experimental development. Figure 2 shows what such a template might look like.

Misplaced calculated molecules
~~~
[1]
The following is a DFT calculation (ωB97M-V/def2-TZVPD) of a 3-piece molecular cluster, C6H18O3S3 overall at a distorted geometry.

Cartesian coordinates (Å):
S 5.379377 3.829517 -4.459048
S -1.828493 0.066697 -1.220988
S -5.109273 -3.979483 4.919902
O 4.311617 4.833977 -3.914628
O -1.201263 -1.140043 -0.437528
O -5.832353 -3.307043 6.040652
C 4.518037 2.241257 -4.913798
C 6.306927 3.318447 -2.928498
C -3.986403 -2.680133 4.376062
C -0.459633 0.669597 -2.313918
C -1.890353 1.621197 -0.321968
C -3.955233 -5.253013 5.566632
H -4.019873 -6.257493 5.148382
H 5.636557 2.758507 -2.276448
H -2.772543 1.625097 0.318212
H -3.312133 -2.428963 5.194822
H 4.158017 2.548857 -5.895558
H 5.099047 1.320177 -4.867578
H 3.640117 1.993327 -4.317228
H -3.372863 -2.939303 3.513212
H 6.521417 4.142987 -2.248618
H -0.967293 1.785897 0.233852
H -4.218983 -5.473143 6.601082
H 7.160117 2.640907 -2.961658
H 0.261217 1.236777 -1.725038
H -0.770193 1.306797 -3.141948
H -2.923723 -4.902073 5.597102
H -4.620383 -1.847813 4.070442
H -1.861753 2.471607 -1.003198
H 0.110297 -0.203133 -2.632698

Atomic forces in eV per Å
-1.3 1.1 2.2
1.8 -2.1 -0.1
-0.6 0.0 -0.4
2.0 -2.3 -1.2
-1.3 3.1 -1.1
0.3 -0.6 0.1
-0.4 0.7 0.4
-0.9 -0.7 1.1
0.7 -0.3 -0.2
0.4 -0.3 0.5
0.5 0.2 0.7
0.4 0.1 1.0
-0.1 0.4 -0.9
-0.7 -0.2 -0.3
0.2 0.1 0.0
-0.2 0.2 0.1
0.1 -0.7 -0.2
0.6 0.4 -0.5
0.0 0.7 0.4
-0.1 -0.4 0.0
0.2 0.6 -0.8
-0.1 -0.5 0.4
-0.3 0.6 0.2
0.2 0.3 -0.9
-0.2 0.1 0.3
-0.3 -0.3 0.0
0.0 0.0 -0.2
0.0 -0.1 0.3
-0.6 -0.3 -0.4
-0.5 -0.1 -0.3

Calculated values
Net charge = 0
LUMO = 0.476 eV
Energy above the lowest of the compared OMol25 structures with the same formula, charge and spin = 119.3 kJ/mol

[2]
The following is a DFT calculation (ωB97M-V/def2-TZVPD) of C4H7O2 as an isolated structure at a distorted geometry.

Cartesian coordinates (Å):
O 0.488369 -4.192021 -1.435438
O -0.340392 -0.221036 -1.370528
C -1.051800 1.195082 0.563326
C -0.965273 0.704335 -0.873387
C 1.527678 -2.105680 -0.595473
C 0.907868 -3.249820 -0.955740
H 2.276099 -1.762713 -1.323048
H 0.576402 -1.159007 -0.968514
H -1.510490 1.258821 -1.532113
H -0.502682 0.298075 1.081992
H -2.165632 1.306275 0.946103
H -0.435261 2.078729 0.711433
H 1.744500 -1.831388 0.352829

Atomic forces in eV per Å
0.1 1.3 1.0
0.5 -0.4 0.3
0.1 -3.6 0.8
0.5 0.2 2.0
-1.5 2.0 -3.4
0.3 -2.0 -1.2
0.0 -0.6 0.0
0.3 -0.7 0.7
-1.8 1.6 -2.2
-1.2 1.9 0.0
2.4 -0.1 -1.0
-0.3 0.3 -0.1
0.5 0.2 3.2

Calculated values
Net charge = +1
LUMO = -4.475 eV
Energy above the lowest of the compared OMol25 structures with the same formula, charge and spin = 150.6 kJ/mol

[3]
The following is a DFT calculation (ωB97M-V/def2-TZVPD) of C55H55AsNO2S2Se4Si2Y as an isolated structure.

Cartesian coordinates (Å):
Y 1.206403 1.175389 1.318881
Se 4.895173 3.327307 -0.410147
Se 2.411292 3.612952 2.314275
Se 3.250167 4.783228 0.465726
Se 3.824470 1.263761 -0.692562
As 0.818907 -2.312744 -1.197459
S 1.654961 2.959546 -1.809757
S -2.937548 1.180468 -1.827298
Si 3.424680 -0.264497 2.692217
~~~

Figure 2: Experimental QC template.
This template indicates the name, lot and expiration date for the QC beads. On each of the plots is a target value to reach when setting up the experiment.
Advantages of this method are that it provides the researcher with a separate QC that can be tracked and used to show consistency in their data acquisition process. It will also reveal if there are issues with the instrument before the actual samples are put on the system.
A second recommendation for a QC program is to introduce a reference control into the experimental workflow. This is a sample that you know how it should behave when stained, and helps to ensure that the staining process worked. An added advantage of the reference control is that it is an ideal sample to train others on the protocol. If they can’t get the expected results, then back to pipet school for them!
3. Доверяй, но проверяй.
As the Russian proverb tells us, Доверяй, но проверяй, (trust, but verify). Many software packages have automatic settings for compensation. These settings and the impact that they have on compensation should not be used without verification. There are three that are particularly important to check.
- The number of events to collect – Compensation is based on a statistical measure of the central tendency of the negative and positive populations. The better this measure, the better the determination of compensation. This begs the question of how many events are enough? As was discussed in a previous post on this site, when using a bead-based carrier, make sure to collect at least 10,000 events. For cells as a carrier, at least 30,000. If you are using cells and the target is a rarer event, collecting more events is necessary. This is one reason that beads are a useful control.
- Avoid the universal negative – Many software packages drive the compensation analysis down a path where a single tube is used to set the negative populations for compensation. This is ultimately a violation of the second rule of compensation, which requires the positive and negative carrier to have the same autofluorescence. The best practice is to have both a negative and positive control in each compensation tube so that when compensating, there is no ambiguity or concerns over was the second rule violated.
Figure 3: Issues with using a ‘Universal’ negative in compensation.
- Check the automatic gating – In some software, compensation is automated to identifies the target particles and gates the positive and negative sample. This can work very well if the samples are clean and well separated. However, in the case of using cells, or with samples with debris, this gating can fail. An example of this is shown below in.
Figure 4: When automatic compensation goes wrong The debris in the compensation control tube seems to cause the algorithm some confusion, (right), and the software generates an oddly shaped gate that includes this debris and only part of the correct sample. Contrast that to the sample on the right, which has a similar pattern, but the software clearly captures the correct population.
While using automatic compensation is the correct way to compensate the experiment, make sure that these glitches are corrected before compensation is calculated.
4. Use all the proper controls.
One of the most important factors in improving reproducibility is to use the correct controls in the experiment. These samples change one thing compared to the experimental sample so that it is possible to assess changes that are due to the experimental parameters and not the data acquisition process.
A lot has been written on proper controls for a flow cytometry experiment such as this article. In addition to quality control, as discussed above, proper experimental controls include compensation controls, FMO controls, unstained (autofluorescence) controls, un-stimulated controls, and positive controls.
It goes without saying that each control should be used for what it is designed to control for and not overinterpreted and that these controls work in concert to set the correct gates to identify the populations of interest.

[Unrelated to this page: molecular data]
'''
Entry 1:
Entry from the Open Molecules 2025 dataset: a molecular structure, C16H40CdN3O8Tl (wB97M-V/def2-TZVPD).

Structure (XYZ):
```
69
Properties=species:S:1:pos:R:3:lowdin_charge:R:1
H 1.845 4.312 -1.605 0.10
C 0.108 -3.008 1.113 -0.03
C -3.605 2.918 -2.780 -0.19
H -1.336 1.492 -5.109 0.07
H 0.222 -3.968 0.610 0.09
H 2.483 -3.165 2.919 0.13
H 4.711 -4.811 2.807 0.09
H -4.269 5.367 -1.814 0.09
H 5.233 -2.638 0.460 0.10
O 1.046 1.392 -2.848 -0.09
H -1.307 2.020 3.553 0.13
H 0.869 1.100 4.088 0.09
H -5.427 4.215 -1.280 0.09
C -0.596 -0.003 3.397 -0.41
N -1.885 1.068 -2.335 -0.02
C -1.521 1.130 2.963 -0.21
C 1.813 2.207 -2.365 -0.65
H -2.687 0.455 -2.370 0.09
N 4.503 -2.555 1.154 0.08
H 1.911 4.086 -3.430 0.11
C 4.510 -4.964 1.746 -0.01
H 3.384 -4.043 0.146 0.14
H -0.429 0.471 0.578 -0.05
H 5.091 -2.448 1.968 0.10
H -0.468 -2.326 0.487 0.07
C 1.575 3.702 -2.467 0.05
C -4.397 4.534 -1.123 -0.04
H -4.282 4.749 -0.061 0.09
Cd -0.063 -0.186 -2.092 1.41
O -2.907 0.789 2.962 -0.16
H -0.370 -3.187 2.076 0.09
O 0.116 0.447 -0.233 -0.48
H -2.592 2.564 -5.421 0.09
H -3.706 2.608 3.698 0.09
H 3.210 -3.762 -3.097 0.10
H -1.507 2.918 -3.178 0.12
H 1.469 -3.287 -3.242 0.09
N 0.835 0.353 3.410 0.07
H 1.837 -4.562 2.050 0.14
H 2.604 -2.539 -4.383 0.10
C -3.844 1.852 2.926 -0.09
H -0.787 -0.832 2.717 0.12
H -4.416 2.198 -2.890 0.13
O 2.803 1.846 -1.655 0.05
H -4.817 1.394 3.106 0.10
H 3.774 -5.759 1.625 0.09
H -1.156 1.444 1.985 0.10
H -1.990 -1.078 4.727 0.09
C -1.087 -0.471 4.779 -0.04
H -3.022 0.932 -4.877 0.08
H -3.913 3.644 -3.532 0.13
O 1.750 -1.471 -1.736 -0.14
C -2.325 1.758 -4.737 -0.04
H 0.505 3.901 -2.525 0.08
C 2.505 -2.985 -3.393 0.05
O 3.822 -1.330 -2.099 0.11
C 3.660 -3.775 1.166 -0.37
O 1.520 -2.574 1.312 -0.34
C -2.301 2.174 -3.236 -0.38
C 2.710 -1.848 -2.377 -0.70
H -3.925 2.453 2.021 0.08
H -2.067 1.587 -1.488 0.07
H 1.248 -0.369 3.983 0.07
H -0.370 -1.110 5.294 0.08
C 2.340 -3.602 1.931 -0.17
O -3.522 3.372 -1.421 -0.21
H -1.361 0.329 5.467 0.09
Tl 2.831 0.016 0.805 1.21
H 5.416 -5.145 1.168 0.09
```

Properties
HOMO level	-0.534	Eh
total charge	+2

Entry 2:
Entry from the Open Molecules 2025 dataset: a molecular structure, C34H38N9OPd (wB97M-V/def2-TZVPD).

Structure (XYZ):
```
83
Properties=species:S:1:pos:R:3:lowdin_charge:R:1
H -2.114 -5.946 3.333 0.07
H -1.047 1.139 4.879 0.12
C 1.599 4.247 -2.475 -0.06
C 2.662 2.227 -1.667 -0.16
C -3.410 2.871 -1.613 -0.18
C 0.097 -1.861 -3.399 -0.20
C -0.701 -4.674 2.303 -0.21
N -0.330 -4.219 0.970 -0.06
N 1.440 1.746 2.975 -0.09
C 0.513 -1.998 -1.120 -0.32
C -3.493 4.262 -1.402 -0.09
H 2.902 5.873 -2.951 0.09
C 2.848 4.860 -2.566 -0.11
C 4.930 0.810 -1.059 -0.08
C 3.999 4.231 -2.155 -0.09
C -2.145 2.216 -1.629 -0.16
H 1.692 -4.720 0.955 0.12
H -1.684 -6.523 1.713 0.06
H -2.394 6.023 -0.928 0.09
H -0.909 2.401 0.918 0.11
H -1.944 1.032 1.369 0.13
H -5.285 0.057 -1.936 0.09
Pd 0.240 0.051 -1.080 0.62
C 0.805 -4.849 0.324 -0.21
H -2.417 -3.566 -1.904 0.11
H 0.513 -6.918 0.959 0.06
'''
[So much for the molecular data]

Figure 5: Using FMO and Unstimulated controls in concert to properly set gates. Data from Maecker and Trotter (2006). Dashed lines are added for illustration purposes.
In figure 5, the authors show three different controls that could be used to set gates on the stimulate sample at the top. The Isotype control, a historical control that has marginal value, has been discussed in detail in this article. The blue line represents this control, and as is shown on the plot on the top, would significantly reduce the number of positive cells.
The FMO control (red line) is used to address issues of spectral spillover into the channel of interest. Looking at the lower left plot, there appear to be some background binding of the target antibody on the unstimulated cells, so the final gate needs to take this into account.
When developing a panel, during the optimization phase, put all the controls you can think of to test. The goal is to identify which controls are critical for identifying the populations of interest, and those that do not help in that process can be excluded.
5. Extract the correct data.
In hypothesis-driven science, the goal is to extract the correct information from a set of experiments and use that in an appropriate statistical test to confirm or refute the hypothesis. Even before performing experiments, this information needs to be considered and determined so that an analysis plan can be established. Doing this before performing experiments will prevent HARKing – hypothesizing after results are known, and p Hacking – where multiple statistical tests are performed to identify one that demonstrates significance in the data.
Performing the correct statistical test is essential to reproducible data, as was discussed here. Make sure that you’re taking the time at the start of the experiment to develop this plan. Knowing what the critical data are to extract from the experiments will help guide the experimental design, as well as helping to identify the critical controls to be run. Thus, it’s critical to ensure that this plan is developed well in advance of putting cells on the cytometer.
To get the best flow cytometry data you need to be thinking about all the steps in your experiment to ensure that you have high-quality data to analyze. To improve the quality of your analysis and to properly track your experiments, make sure you’re adding keywords at the beginning of your experimental setup. Don’t rely on just the daily QC that is performed on the instrument – develop a quality control program that is appropriate for your experiments to add confidence in your results. When using automated compensation programs leave the wizards to fantasy and verify that the algorithms have performed correctly. Identify and don’t misuse or overinterpret the controls when analyzing the data. Finally, know what the end goal of the experiments is and make sure to extract the appropriate data.
These steps will ultimately help improve the reproducibility of your experiments and confidence in the conclusions.
To learn more about the 5 Steps To Improve Your Flow Cytometry Data Analysis, and to get access to all of our advanced materials including 20 training videos, presentations, workbooks, and private group membership, get on the Flow Cytometry Mastery Class wait list.

Data records that have nothing to do with the piece =
- - -
(A)
One molecule with the formula C9H11NO. Source: OMol25; level of theory: the ωB97M-V functional and the def2-TZVPD basis.

Summary:
- SMILES = CC1=C=CC=C(C)N2[C@H](O)[C@@H]12
- HOMO-LUMO gap (alpha / beta) (eV) = 8.23 / 8.23
- 2S+1 = 1
- HOMO level (alpha / beta) (Ha) = -0.3148 / -0.3149

Last column: natural (NBO) charge in e.
Atoms and positions in Å:
C 0.8648 0.9235 -1.7346  -0.2421
C -0.2503 1.4499 -0.7861  -0.2712
C 1.8185 0.1838 -1.1822  -0.0628
C -1.1535 0.8332 -0.0072  0.1533
C 0.3383 -1.1348 0.3506  -0.1990
C 1.5552 -0.4791 0.0205  0.0796
C -0.7219 -1.5228 -0.6013  0.2548
C -2.2930 1.5498 0.5872  -0.6342
C 2.7065 -0.5191 1.1281  -0.6465
N -1.0462 -0.5382 0.4555  -0.4229
O -1.2860 -2.7953 -0.6531  -0.6840
H 0.9108 1.4249 -2.7861  0.2181
H -0.5901 2.4804 -1.0597  0.2049
H 0.4947 -1.8064 1.1951  0.2134
H -0.7619 -0.9314 -1.5585  0.2028
H -3.1684 0.9106 0.3945  0.2260
H -2.3073 1.7855 1.7549  0.2326
H -2.3932 2.5584 -0.0130  0.2184
H 3.1942 0.4322 1.0518  0.2258
H 3.4974 -1.2805 0.9426  0.2399
H 2.1852 -0.5247 2.2042  0.2118
H -1.5937 -2.9999 0.2969  0.4814



(B)
A 2-piece molecular cluster, C9H11NO overall. Source: OMol25; level of theory: the ωB97M-V functional and the def2-TZVPD basis.

Summary:
- SMILES = On1cccc1.C=CC#CC
- HOMO-LUMO gap (eV) = 9.30
- 2S+1 = 1
- HOMO level (Ha) = -0.3146

Last column: natural (NBO) charge in e.
Atoms and positions in Å:
C 2.4201 1.2767 2.1485  -0.1035
C 1.5243 0.5119 1.4380  -0.2918
C 0.4400 0.2182 2.3133  -0.3036
C 0.7026 0.8165 3.5201  -0.0946
C -3.7952 -0.5343 -3.2643  -0.6840
C -2.3887 -0.6604 -2.8989  0.0342
C -1.2711 -0.8397 -2.5102  -0.0726
C 0.0376 -1.0876 -1.9929  -0.2604
C 0.7583 -2.1110 -2.4797  -0.3442
H 2.3954 3.1959 3.9615  0.4724
H 3.3353 1.7832 1.8363  0.2187
H 1.5953 0.2296 0.4017  0.2137
H -0.4110 -0.4010 2.0863  0.2261
H 0.1957 0.8225 4.4755  0.2242
H -3.9610 -0.8605 -4.2946  0.2338
H -4.4293 -1.1678 -2.6491  0.2360
H -4.0994 0.5204 -3.1597  0.2350
H 0.3648 -0.4108 -1.1900  0.2226
H 1.7763 -2.3375 -2.1267  0.1965
H 0.4707 -2.7310 -3.3285  0.2029
N 1.8904 1.4745 3.3769  -0.0450
O 2.4490 2.2924 4.3368  -0.5165



Stability, highest: (B)



(A)
A 2-piece molecular cluster, C2H6OS2 overall. Source: OMol25; level of theory: the ωB97M-V functional and the def2-TZVPD basis.

Summary:
- SMILES = C=O.CSS
- HOMO-LUMO gap (eV) = 9.51
- 2S+1 = 1
- HOMO level (Ha) = -0.3353

Last column: natural (NBO) charge in e.
Atoms and positions in Å:
O 0.4009 -3.3539 3.5699  -0.4928
C -0.3227 -3.6867 2.6499  0.2571
H -0.4087 -3.0516 1.8040  0.1163
H -0.7956 -4.5937 2.7777  0.1193
C -0.2172 2.9343 -1.5925  -0.7843
S 1.3914 2.0062 -1.2939  0.1104
S 1.1654 0.1423 -2.0537  -0.1364
H -1.1182 2.8853 -2.0631  0.2440
H 0.0546 3.9312 -2.1907  0.2207
H -0.5147 3.2720 -0.5784  0.2189
H 0.3649 -0.4854 -1.0294  0.1269



(B)
A 2-piece molecular cluster, C2H6OS2 overall. Source: OMol25; level of theory: the ωB97M-V functional and the def2-TZVPD basis.

Summary:
- SMILES = C=CO.SS
- HOMO-LUMO gap (eV) = 9.25
- 2S+1 = 1
- - -
Back to the piece =

Tim Bushnell holds a PhD in Biology from the Rensselaer Polytechnic Institute. He is a co-founder of—and didactic mind behind—ExCyte, the world’s leading flow cytometry training company, which organization boasts a veritable library of in-the-lab resources on sequencing, microscopy, and related topics in the life sciences.
More Written by Tim Bushnell, PhD